Gandhi Development Trust’s Early Childhood Development (ECD) Values Education Project (VEP) is making incremental progress in equipping Early Childhood Development practitioners/caregivers with a core set of universal values – underpinned by Ubuntu – to guide their classroom practice and promote behaviour change in the children in their care. At the completion of the third year and phase of the project (September 2015 to August 2016), the following outcomes have been achieved:
Successful values education training of 5 trainers from Umzinto, Umlazi, Kwa Makutha, Folweni and Hammarsdale
Promotion of holistic learning in the inclusion of the supporting/parallel programme in Food and Nutrition, Creative Arts and Physical Development by DUT lecturers
Development of an effective community development training model in which the sourcing of practitioner trainees is effected by the community trainers
[Inserted here: crystal structures]
********
[1]
Here is a geometry-optimized SnBi3Pd3 structure from Alexandria. Energies are from PBE.

a = 7.4030 Å, b = 13.0347 Å, c = 7.0946 Å
α = 90.00°, β = 100.16°, γ = 90.00°
Closest atoms and distances in Å follow each position.
Space group C2/m (No. 12)
Unique sites:
Sn 0.2039 0.0000 0.4730 (multiplicity 4)  4 Pd 2.66-2.79
Bi 0.0000 0.2563 0.5000 (multiplicity 4)  4 Pd 2.89-2.94
Bi 0.0000 0.3085 0.0000 (multiplicity 4)  6 Pd 2.83-3.12
Bi 0.1888 0.0000 0.9225 (multiplicity 4)  4 Pd 2.92-2.97, 1 Bi 3.18, 1 Sn 3.21
Pd 0.0130 0.5000 0.7396 (multiplicity 4)  2 Sn 2.70-2.79, 2 Pd 2.91, 2 Bi 2.92-2.96
Pd 0.2014 0.1558 0.2300 (multiplicity 8)  1 Sn 2.66, 4 Bi 2.83-2.97, 1 Pd 2.91

Excess energy over the best structure of this formula in the dataset: 0.26 eV per formula unit

---

[2]
Here is a geometry-optimized SnBi3Pd3 structure from Alexandria. Energies are from PBE.

a = 8.2808 Å, b = 8.2808 Å, c = 17.2287 Å
α = 90.00°, β = 90.00°, γ = 120.00°
Closest atoms and distances in Å follow each position.
Space group R-3 (No. 148, hexagonal axes)
Unique sites:
Sn 0.0000 0.0000 0.1631 (multiplicity 6)  6 Pd 2.76-2.81
Bi 0.0127 0.2665 0.6019 (multiplicity 18)  5 Pd 2.87-3.13
Pd 0.0079 0.4017 0.4329 (multiplicity 18)  2 Sn 2.76-2.81, 4 Bi 2.87-3.01, 1 Pd 2.87

Excess energy over the best structure of this formula in the dataset: 0.00 eV per formula unit

---

[3]
Here is a geometry-optimized Sn2BiPd8 structure from Alexandria. Energies are from PBE.

a = 4.1433 Å, b = 7.6026 Å, c = 12.4074 Å
α = 90.00°, β = 90.00°, γ = 90.00°
Closest atoms and distances in Å follow each position.
Space group Immm (No. 71)
Unique sites:
Sn 0.0000 0.0000 0.1784 (multiplicity 4)  10 Pd 2.70-2.92
Bi 0.0000 0.0000 0.5000 (multiplicity 2)  12 Pd 2.83-3.06
Pd 0.0000 0.2036 0.0000 (multiplicity 4)  2 Sn 2.70, 6 Pd 2.92-2.97
Pd 0.0000 0.2669 0.3348 (multiplicity 8)  3 Sn 2.73-2.81, 7 Pd 2.84-2.96, 1 Bi 2.88
Pd 0.0000 0.5000 0.1558 (multiplicity 4)  2 Bi 2.83, 8 Pd 2.84-2.97, 2 Sn 2.92

---

| no. | uncorrected energy (eV per atom) |
| --- | --- |
| 1 | -4.683 |
| 2 | -4.719 |
| 3 | -5.247 |
********
Completion of the values training programme, certification of the 5 trainers and the 93 practitioners and implementation of the programme
Concerted and ongoing strategies to propagate the values project, generally, and the values training, particularly, including establishing relevant networks and partnerships
Promising and encouraging impact on the children in the trainees’ classrooms
Progressive spread of the values training programme from 18 sites in the first two phases to 98 in the third and 119 trainees trained and 4760 children impacted
Effective support, monitoring and evaluation of the implementation of the values programme in selected sites in all 5 areas
Dynamic partnership training programme with DUT established for the parallel training and community engagement programmes
Development of appropriate networks and partnerships to sustain, expand, market, popularise, share and improve the project
In the words of the trainers…
Values training changes people’s lives. It had a positive impact on my life and my trainees. The practitioners said they learnt something new after every lesson and always gave positive feedback
This course has planted a seed in us all. What we’ve learned has been passed down to the crèches
As the chairperson of Insimbini ECD Association, I feel humbled to get this opportunity to be a trainer of the trainees, it was a privilege
I want to thank Gandhi Development Trust for the knowledge and experience and for opening my mind to go out and spread the values to the community. More especially the spirit of Ubuntu being planted in our young children in our ECD centres
I’ve become so confident now after this training. I learnt new values and these are values that the kids should also take to their homes. I learnt that if you cooperate with people you can do so much together rather than on your own
Endorsing the project
In her message of support, funding manager, Kudzai Mqingwana, acknowledged, firstly, the innovative project concept and model and, secondly, its tremendous successes thus far. In encouraging the current cohort of trained practitioners/ caregivers to uphold and implement the programme’s values, she reminded them of their impact on the children and the commonly accepted understanding that children model the adults around them. “Often, the teacher is more important at home than parents, you create an incredible impact on our children, so, please be the champions of these values. Teach our children and let them come home and teach us these values so that good change can be seen at home.” Commenting on the collective responsibility to our communities, she said, “We want to see the spread of values, where you teach others to teach others. The way I am affects you; the way you are affects me, Umuntu ngumuntu ngabantu. Continue to be the good foundation for our children’s lives.”
Positive Impact on Children
The evaluations undertaken by the ECD trainer at participating preschools/sites, together with anecdotal reports from trainees, all confirm the positive impact on the practitioners/caregivers and the children in their care. These range from practitioners/caregivers’ improved understanding of managing children calmly and their ongoing personal reflection towards more positive and affirming practice to an increase in respect, caring, cooperation, motivation and the ability to solve peer conflicts on the part of the children. Below are some of the comments from the classroom practitioners:
Noticeable demonstration of empathy amongst children – towards physically challenged and children with learning disabilities
Evidence of sharing, patience and respect among children
Greater willingness to share resources and enjoy team effort in the completion of activities
Children actively taking responsibility for their actions when they hurt/injure other children
Children visibly more observant and attentive in class
Clearly, the project has shown significant growth and development. Evidence of this range from the phenomenal increase in numbers trained, the number of children brought ‘under the umbrella’ of values, the spatial spread covering five areas and including both urban and rural to the ongoing addition of relevant partnerships and networks.
The next phase of the ECD VEP, critical to consolidating the gains made thus far and safeguarding sustainability, is the development and implementation of a parent enrichment programme to reinforce the values ethic in the home and to assemble a core group of trainers drawn from Phases 1, 2 & 3 for community ECD VEP roll outs.
While the best chance of developing caring and socially responsible citizens is starting in the earliest years of a child’s life, it must also be said that central to achieving this long-term objective must be our commitment to be credible role models for children to mimic.
More recently Kanya Padyachee, GDT’s ECD Co-ordinator wrote, on Wednesday (21/06/2017),
“Nomandla and I undertook visits to two of our community training centres. Our expectations were far exceeded in the training sessions (Umlazi and Hammarsdale) as we saw not only the commitment and work ethic of the trainers with the fully absorbed trainees as they engaged with the values but, more significantly, we felt the palpable enthusiasm in the class!
They are all there of their own volition, learning about values and the application thereof and thoroughly enjoying the whole experience – how amazing is that!!!
The real story, however, concerns another of our trainers in Kwa Makutha who we visited on our way back. While chatting with her about the progress of her training, she told me that, for her, the best outcome of the values training has been in the Umbumbulu ECD Association of which she is the chairperson. Fifty of her values education trainees are site supervisors drawn from the association. Prior to the values training, the members were tearing themselves apart with typical infighting, destructive gossip and general discontent, to the extent that she was seriously considering relinquishing her position.
After the training, it was like a wind of change had swept over the association – now, members are constantly referring to the values and reminding themselves of the need for cooperation and cohesion in their deliberations. In addition, they never miss a class and eagerly anticipate their training!! Can you imagine the impact of their newly acquired skills on the sites that they manage and, of course, on the children in their care!! Heartwarming stuff and so encouraging to know that we’re doing something right!!!!”